(Entries)
- - -
(1)
Entry from Alexandria: a relaxed structure of LaPm2SmHo2 (PBE).

## Properties
Spin magnetization: 0.00 μB per formula unit
Electronic total energy: -4.46 eV per atom

Structure (POSCAR):
```
LaPm2SmHo2
1.0
3.422 0.000 0.000
0.000 6.592 0.000
0.000 0.000 18.325
Ho Pm La Sm
4 4 2 2
direct
0.500 0.213 0.647
0.000 0.713 0.853
0.500 0.787 0.353
0.000 0.287 0.147
0.000 0.784 0.190
0.000 0.216 0.810
0.500 0.716 0.690
0.500 0.284 0.310
0.500 0.500 0.500
0.000 0.000 0.000
0.000 0.000 0.500
0.500 0.500 0.000
```

(2)
Entry from Alexandria: a relaxed structure of TbPm4Ho15 (PBE).

## Properties
Spin magnetization: 0.00 μB per formula unit
Electronic total energy: -4.60 eV per atom

Structure (POSCAR):
```
TbPm4Ho15
1.0
5.025 0.000 0.000
0.000 5.025 0.000
0.000 0.000 25.055
Ho Pm Tb
15 4 1
direct
0.500 0.000 0.099
0.500 0.500 0.600
0.000 0.500 0.300
0.500 0.000 0.901
0.500 0.000 0.700
0.000 0.500 0.099
0.000 0.500 0.700
0.500 0.500 0.199
0.500 0.000 0.300
0.500 0.500 0.000
0.500 0.500 0.400
0.000 0.500 0.500
0.500 0.000 0.500
0.500 0.500 0.801
0.000 0.500 0.901
0.000 0.000 0.400
0.000 0.000 0.600
0.000 0.000 0.800
0.000 0.000 0.200
0.000 0.000 0.000
```

(3)
Entry from Alexandria: a relaxed structure of Cr2TcPt (PBE).

## Properties
Spin magnetization: 0.00 μB per formula unit
Electronic total energy: -8.90 eV per atom

Structure (POSCAR):
```
Cr2TcPt
1.0
-0.988 -1.439 -2.031
1.609 -2.036 0.660
-5.341 -2.748 4.546
Tc Cr Pt
1 2 1
direct
0.500 0.500 0.750
0.000 0.000 0.992
0.000 0.000 0.508
0.500 0.500 0.250
```

~~~~~
- - -

(Brief)
Could you print everything earlier on exactly?

(Response)
(1)
Entry from Alexandria: a relaxed structure of LaPm2SmHo2 (PBE).

## Properties
Spin magnetization: 0.00 μB per formula unit
Electronic total energy: -4.46 eV per atom

Structure (POSCAR):
```
LaPm2SmHo2
1.0
3.422 0.000 0.000
0.000 6.592 0.000
0.000 0.000 18.325
Ho Pm La Sm
4 4 2 2
direct
0.500 0.213 0.647
0.000 0.713 0.853
0.500 0.787 0.353
0.000 0.287 0.147
0.000 0.784 0.190
0.000 0.216 0.810
0.500 0.716 0.690
0.500 0.284 0.310
0.500 0.500 0.500
0.000 0.000 0.000
0.000 0.000 0.500
0.500 0.500 0.000
```

(2)
Entry from Alexandria: a relaxed structure of TbPm4Ho15 (PBE).

## Properties
Spin magnetization: 0.00 μB per formula unit
Electronic total energy: -4.60 eV per atom

Structure (POSCAR):
```
TbPm4Ho15
1.0
5.025 0.000 0.000
0.000 5.025 0.000
0.000 0.000 25.055
Ho Pm Tb
15 4 1
direct
0.500 0.000 0.099
0.500 0.500 0.600
0.000 0.500 0.300
0.500 0.000 0.901
0.500 0.000 0.700
0.000 0.500 0.099
0.000 0.500 0.700
0.500 0.500 0.199
0.500 0.000 0.300
0.500 0.500 0.000
0.500 0.500 0.400
0.000 0.500 0.500
0.500 0.000 0.500
0.500 0.500 0.801
0.000 0.500 0.901
0.000 0.000 0.400
0.000 0.000 0.600
0.000 0.000 0.800
0.000 0.000 0.200
0.000 0.000 0.000
```

(3)
Entry from Alexandria: a relaxed structure of Cr2TcPt (PBE).

## Properties
Spin magnetization: 0.00 μB per formula unit
Electronic total energy: -8.90 eV per atom

Structure (POSCAR):
```
Cr2TcPt
1.0
-0.988 -1.439 -2.031
1.609 -2.036 0.660
-5.341 -2.748 4.546
Tc Cr Pt
1 2 1
direct
0.500 0.500 0.750
0.000 0.000 0.992
0.000 0.000 0.508
0.500 0.500 0.250
```

~~~~~